Freedom of Information Request and Privacy Complaint Case Files
Archives and Records Management Department
Records | Active retention (in office) | Semi-active (records centre) | Total retention | Final disposition |
Archives and Records Management Department: Access request case files; Correction of personal information case files; Inquiry intervention case files; Privacy complaint case files: | CY + 1 year | 5 years | CY + 6 years | Selective Retention by Archives |
All other university departments: | CY + 2 years | Nil | CY + 2 years | Destruction |
Electronic records in Archives' Request System database: | Permanent | Nil | Permanent | Full Retention by Archives |
CY = Current calendar year; CFY = Current fiscal year; CS = Current semester; S/O = Superseded or obsolete; OPR = Office of Primary Responsibility; Non-OPR = All other departments.
Records made or received in processing requests for access to information, correction of personal information, inquiry interventions, and privacy complaints in accordance with the provisions of the Freedom of Information and Protection of Privacy (FOI/POP) Act.
Access request records may include the applicant’s letter of request, correspondence, memoranda and email; access recommendation summaries and reports, detailed review of records, and decision letters; research agreements signed by applicants as a condition of access to and use of records; a copy of the records responsive to the applicant’s request and a copy of the records as disclosed to the applicant after severing; and records documenting a request that the OIPC review an access decision.
Access requests are processed by either informal or formal procedures. Applicants first apply for access to the department holding the records. If the department determines that no FOI/POP exceptions to the applicant’s right of access apply, it routinely discloses the records itself (informal procedure); if it determines that some exceptions may apply, the case is referred to the Archives and Records Management Department (formal procedure). This schedule applies only to records arising from the latter, i.e. formal access requests.
Correction of personal information request records may include the applicant's letter of request, correspondence, memoranda and email; correction recommendations and decision letters; a copy of the applicant's statement of disagreement; reference material used in the formulation of a correction decision; and a log of personnel time spent processing the request.
The Office of Primary Responsibility for the records determines whether a correction of factual personal information is warranted based on a consideration of adequate proof presented by the applicant, the provisions of the Freedom of Information and Protection of Privacy Act, the FOI/POP Policy and Procedure Manual, relevant Commissioner's Orders, the University Act and applicable University policies and procedures. If no correction is made in response to an applicant's request, the information is annotated to indicate the applicant's concern, usually with a statement of disagreement supplied by the applicant.
Inquiry intervention records may include written invitations to intervene in inquiries being held by the Office of the Information and Privacy Commissioner, correspondence, memoranda and email; initial and reply submissions prepared by the applicant, the relevant public body and the intervenor(s); affidavits; notices of written inquiry; portfolio officers' fact reports; instructions for written inquiry procedures; handwritten notes; background material relevant to the formulation of written submissions; and Commissioner's orders.
¶¡ÏãÔ°AV may be invited by the Information and Privacy Commissioner to make representations at an inquiry in which it is deemed that the University has a broader interest in an issue being decided at that inquiry. Generally, ¶¡ÏãÔ°AV participates by supplying intial and reply submissions as part of the inquiry procedures. The records above reflect the documentary by-products of such particpation.
-- Someone pasted calculated molecules at this point --
=====
(1)
{
  "formula": "C13H17FeO5S",
  "method": "ωB97M-V/def2-TZVPD",
  "elements": ["C", "O", "C", "C", "C", "C", "C", "C", "Fe", "C", "O", "C", "O", "C", "O", "H", "H", "H", "H", "H", "H", "H", "H", "H", "C", "S", "C", "C", "O", "H", "H", "H", "H", "H", "H", "H", "H"],
  "positions_angstrom": [[2.338, 4.257, -0.856], [2.598, 3.415, 0.242], [1.758, 2.260, 0.333], [0.448, 2.346, 0.829], [-0.415, 1.106, 1.007], [0.311, -0.217, 0.797], [1.591, -0.242, 0.262], [2.322, 0.962, 0.016], [1.562, 0.986, 2.025], [0.474, 1.033, 3.555], [-0.228, 1.068, 4.451], [2.749, 2.208, 2.876], [3.457, 2.933, 3.394], [2.619, -0.433, 2.699], [3.254, -1.297, 3.081], [2.934, 5.164, -0.737], [2.635, 3.741, -1.769], [1.279, 4.514, -0.888], [0.043, 3.332, 1.060], [-0.981, 1.126, 1.960], [-1.216, 1.153, 0.234], [-0.192, -1.155, 1.046], [2.073, -1.202, 0.067], [3.340, 0.924, -0.368], [-3.358, -4.137, -2.673], [-3.147, -2.479, -1.980], [-2.303, -2.789, -0.412], [-1.879, -1.767, -2.996], [-4.403, -1.625, -1.832], [-2.402, -4.650, -2.723], [-4.036, -4.715, -2.052], [-3.776, -4.071, -3.673], [-1.374, -3.328, -0.578], [-2.089, -1.842, 0.071], [-2.941, -3.372, 0.245], [-0.898, -2.183, -3.001], [-2.146, -1.025, -3.713]],
  "atomic_forces_ev_per_a": [[-0.17, 0.01, -0.38], [-0.97, -2.06, 0.98], [-0.46, 0.35, -1.02], [1.13, 0.94, -0.48], [-1.92, 0.01, -1.56], [-0.07, -0.65, -0.35], [-0.41, 0.62, -1.20], [0.60, 0.40, -1.12], [0.69, -0.09, 2.10], [-1.20, 0.01, 1.76], [0.29, -0.02, -0.14], [2.05, 2.32, 1.20], [-0.66, -0.69, -0.40], [1.64, -2.23, 1.16], [-0.40, 0.48, -0.28], [-0.07, -0.20, 0.08], [-0.09, 0.16, -0.23], [-0.04, 0.13, -0.16], [0.01, -0.39, 0.03], [0.14, 0.04, -0.58], [0.07, 0.09, 0.22], [0.13, 0.41, 0.00], [-0.03, 0.30, 0.17], [-0.30, 0.00, 0.19], [-0.33, 0.14, -0.03], [-1.98, 1.94, 0.49], [-0.19, 0.07, -0.10], [-1.06, -0.33, 0.59], [3.81, -2.76, -0.65], [0.27, 0.24, 0.13], [-0.15, 0.19, 0.29], [-0.06, 0.32, -0.08], [0.07, -0.04, -0.30], [-0.06, 0.30, -0.22], [-0.35, -0.09, -0.17], [0.49, -0.39, 0.29], [-0.44, 0.45, -0.23]],
  "lowdin_charge": [-0.08, -0.13, -0.35, -0.07, -0.23, -0.18, -0.19, -0.09, 0.06, -0.10, 0.17, -0.05, 0.19, -0.07, 0.18, 0.10, 0.09, 0.09, 0.14, 0.09, 0.12, 0.09, 0.13, 0.12, -0.13, 0.89, -0.13, 0.03, -0.32, 0.09, 0.09, 0.09, 0.09, 0.06, 0.09, 0.06, 0.06],
  "multiplicity": 5,
  "s_squared": 6.15,
  "orbital_gap_ev": [4.92, 3.42],
  "charge": 1
}

(2)
{
  "formula": "C13H17IMgN2O",
  "method": "ωB97M-V/def2-TZVPD",
  "elements": ["C", "C", "H", "H", "H", "H", "H", "H", "C", "C", "C", "C", "H", "H", "H", "H", "N", "C", "C", "N", "C", "C", "C", "H", "H", "C", "H", "H", "Mg", "I", "C", "O", "H", "H", "H"],
=====
Privacy complaint records may include the applicant's letter of complaint, correspondence, email and memoranda; copies of the records responsive to the privacy complaint; records documenting advice supplied by the department (generated from the Archives' Advice database); reporting letters issued by the Office of the Information and Privacy Commissioner (final and draft versions) and replies to the reporting letters (final and draft versions); and notes to file.
The Office of the Information and Privacy Commissioner of British Columbia investigates complaints concerning the collection, use or disclosure of personal information by public bodies. The department opens a file to document a privacy complaint only after it has been notified by the OIPC that an investigation will occur. The records above reflect the documentary by-products of the department's response to privacy complaints.
The Archives and Records Management Department is the Office of Primary Responsibility (OPR) for the records documenting all of the above activities. This schedule also covers the Archives' Request System database, used to track formal requests.
For research agreements relating to access and use of private records, see RRSDA 1999-064, Research Agreement (Private Records) Files.
This series is a Personal Information Bank; click here for PIB description.
These records are created, used, retained and managed in accordance with the following authorities:
The FOI / POP Act requires that personal information used to make a decision that directly affects an individual must be retained for at least one year. Cases are filed by year initiated rather than closed; "CY + 6 years" allows sufficient time for closure of cases and follows the department's standard retention rule, thus facilitating application. See Retention and Filing Guidelines for a description of those records that will be selected for archival retention. Database records summarizing each case have on-going administrative and research value for long-term statistical analysis.
Archives and Records Management Department (OPR):
A new file is opened for each formal request and privacy complaint. All files are numbered by year and consecutive case number (e.g. 1999-005 = fifth case of 1999). Files which close in a later year are returned to their year-block series.
The type of case file is denoted by colour coding. Access requests are housed in green file folders; correction of personal information requests are housed in organge file folders; inquiry intervention requests are housed in yellow file folders; and privacy complaints are housed in red file folders.
Apply this schedule to both paper files and the corresponding electronic, word-processing documents.
Files relating to the following types of cases have on-going values and are selected for archival retention: - the case was a request for correction of personal information; - the case resulted in a signed research agreement as a condition of access; - the case proceeded to the OIPC for mediation, inquiry or judicial review; - the case was an invitation to intervene in a OIPC inquiry; or - the case was a privacy complaint.
When arranging and describing the records, use the Request System database to compile a list of cases that generated a research agreement or proceeded to mediation, inquiry or judical review. Select these archival files for permanent retention; the complete file will be retained with the exception of duplicate copies of the records responsive to the access request (i.e. keep only the highlighted copy of the records showing information severed and the FOI/POP exception invoked). Remove the non-archival files for destruction by confidential shredding. Also select all orange, yellow and red file folders to capture the remaining case files of on-going value (as described above). Delete all electronic word-processing files.
Other departments (Non-OPR):
Ideally, departments should open one file for each request and/or privacy complaint involving records held by the department. Because of the small number of requests and privacy complaints received, however, departments may wish to simply open one file for all documentation relating to all requests and privacy complaints in a calendar year. Within this file, keep together all documents relating to the same case. Typically, such documents per case will be few: applicant’s original letter of request, memoranda to and from the Archives, correspondence cc’d from the Archives, access recommendations, correction recommedndations and transmittal memos. If a case carries over into the new year, move all case documents into that year’s file. If the documentation for a single case becomes extensive, create a file just for that case.
At the end of the calendar year, close the request and complaint file(s) and retain for two additional years, then destroy. Do not send these files to the University Records Centre (URC). These records contain sensitive personal information and must be destroyed by confidential shredding; contact Facilities Management to make arrangements.
Keep general information about FOI / POP policy and procedures on a separate reference file and retain only the most current version (e.g. instructions on how to process a routine disclosure). Most of this information is also available on the Archives' Web site.
RRSDA is in force.
Approved by the University Archivist: 22 Jan 2009